### Given
Density functional theory data (ωB97M-V with the def2-TZVPD basis set) for a structure of composition C50H50Br6F6O9 in a non-equilibrium geometry.

Frontier orbital gap   8.30 eV
Max |F|   6.94 eV Å⁻¹
E_tot   -507643.935 eV
Net charge   0

Positions of all 121 atoms, in Å:
C (-0.61, 5.12, -4.89)
C (-0.34, 6.27, -5.84)
C (-1.31, 7.49, -5.93)
O (-0.52, 8.61, -5.79)
C (0.77, 8.23, -5.62)
O (1.64, 9.02, -5.54)
O (0.92, 6.89, -5.63)
H (-0.97, 5.49, -3.94)
H (0.30, 4.54, -4.72)
H (-1.37, 4.43, -5.24)
H (-0.21, 5.88, -6.85)
H (-2.02, 7.27, -5.13)
H (-1.73, 7.35, -6.93)
C (-3.98, 6.69, 0.02)
C (-4.55, 6.08, 1.30)
C (-6.02, 5.84, 1.39)
O (-6.14, 4.60, 1.90)
C (-4.91, 4.01, 2.06)
O (-4.73, 2.86, 2.49)
O (-3.94, 4.90, 1.64)
H (-4.31, 6.14, -0.87)
H (-2.90, 6.52, 0.03)
H (-4.20, 7.75, -0.06)
H (-4.36, 6.94, 1.95)
H (-6.46, 6.08, 0.42)
H (-6.35, 6.62, 2.08)
C (-1.68, -3.22, -0.50)
C (-2.11, -1.91, 0.21)
C (-1.36, -1.63, 1.50)
O (-0.63, -0.46, 1.24)
C (-0.91, 0.00, 0.09)
O (-0.28, 0.93, -0.46)
O (-1.63, -0.88, -0.63)
H (-2.24, -3.27, -1.44)
H (-2.11, -4.06, 0.05)
H (-0.60, -3.35, -0.54)
H (-3.17, -1.67, 0.32)
H (-0.82, -2.50, 1.86)
H (-2.05, -1.36, 2.30)
F (3.82, -3.91, -0.34)
C (4.65, -4.81, 0.22)
C (4.32, -5.54, 1.32)
C (5.15, -6.57, 1.74)
C (6.32, -6.89, 1.02)
C (6.67, -6.05, -0.02)
C (5.85, -5.00, -0.46)
H (3.38, -5.36, 1.80)
H (4.87, -7.12, 2.63)
H (6.89, -7.79, 1.20)
H (7.66, -6.10, -0.44)
H (6.23, -4.44, -1.31)
F (7.75, 6.10, 1.94)
C (7.16, 5.02, 1.34)
C (7.95, 3.93, 0.94)
C (7.39, 2.88, 0.20)
C (5.97, 2.90, -0.02)
C (5.15, 3.93, 0.46)
C (5.76, 5.00, 1.17)
H (9.00, 3.92, 1.19)
H (7.95, 2.01, -0.13)
H (5.51, 2.11, -0.60)
H (4.09, 3.95, 0.31)
H (5.23, 5.90, 1.45)
F (2.25, -3.76, 6.11)
C (2.71, -4.64, 7.03)
C (1.88, -4.94, 8.12)
C (2.37, -5.79, 9.12)
C (3.58, -6.42, 8.98)
C (4.35, -6.18, 7.82)
C (3.94, -5.28, 6.87)
H (0.92, -4.49, 8.31)
H (1.82, -5.87, 10.05)
H (3.94, -7.13, 9.72)
H (5.31, -6.66, 7.75)
H (4.48, -5.01, 5.98)
F (-5.89, -0.30, -3.64)
C (-5.83, -1.10, -4.71)
C (-4.57, -1.56, -5.14)
C (-4.54, -2.43, -6.19)
C (-5.68, -2.77, -6.87)
C (-6.96, -2.35, -6.42)
C (-7.05, -1.48, -5.33)
H (-3.76, -1.07, -4.62)
H (-3.56, -2.72, -6.54)
H (-5.65, -3.46, -7.71)
H (-7.86, -2.58, -6.98)
H (-7.98, -1.04, -4.99)
F (1.37, -0.19, -6.61)
C (1.34, -1.57, -6.70)
C (1.07, -2.28, -7.89)
C (1.10, -3.66, -7.87)
C (1.21, -4.39, -6.67)
C (1.47, -3.64, -5.51)
C (1.50, -2.26, -5.47)
H (0.98, -1.85, -8.88)
H (0.94, -4.25, -8.76)
H (1.17, -5.47, -6.66)
H (1.57, -4.19, -4.59)
H (1.70, -1.64, -4.60)
F (2.28, 6.93, 7.40)
C (1.59, 6.00, 6.76)
C (2.23, 5.14, 5.84)
C (1.54, 4.13, 5.25)
C (0.20, 3.96, 5.64)
C (-0.41, 4.71, 6.62)
C (0.28, 5.77, 7.16)
H (3.26, 5.39, 5.64)
H (2.04, 3.58, 4.46)
H (-0.45, 3.26, 5.13)
H (-1.44, 4.48, 6.82)
H (-0.25, 6.49, 7.77)
C (-5.44, -9.02, -4.90)
Br (-5.06, -10.87, -4.16)
Br (-3.95, -7.85, -4.49)
Br (-7.17, -8.22, -4.33)
H (-5.52, -9.21, -5.97)
C (-4.89, -1.39, 8.11)
Br (-6.18, 0.09, 7.88)
Br (-4.65, -1.91, 10.00)
Br (-3.10, -1.04, 7.27)
H (-5.32, -2.28, 7.65)

---

Density functional theory data (ωB97M-V with the def2-TZVPD basis set) for a structure of composition C50H50N7O2PS5Y in a non-equilibrium geometry.

Frontier orbital gap   4.91 eV
Max |F|   1.28 eV Å⁻¹
E_tot   -131697.503 eV
Net charge   -1
Relative energy (zero: lowest compared OMol25 entry of this formula, charge and spin)   39.1 kcal per mole

Positions of all 116 atoms, in Å:
Y (-0.71, -0.85, -0.25)
C (-0.97, 3.84, 3.82)
C (-1.40, 3.16, 2.53)
S (-0.12, 2.58, 1.42)
C (0.94, 4.03, 1.19)
C (2.45, 3.78, 1.39)
S (2.98, 2.51, 2.56)
C (3.03, 3.42, 4.11)
C (1.74, 4.11, 4.55)
S (0.32, 3.01, 4.79)
H (-1.84, 3.94, 4.47)
H (-0.62, 4.86, 3.64)
H (-2.10, 3.83, 2.01)
H (-1.95, 2.23, 2.72)
H (0.59, 4.84, 1.83)
H (0.82, 4.38, 0.16)
H (2.94, 4.72, 1.67)
H (2.88, 3.48, 0.44)
H (3.82, 4.17, 4.08)
H (3.32, 2.68, 4.86)
H (1.46, 4.87, 3.81)
H (1.94, 4.63, 5.48)
C (-5.43, 4.54, -1.93)
C (-5.63, 3.30, -2.52)
C (-4.62, 2.34, -2.51)
C (-3.40, 2.62, -1.91)
C (-3.21, 3.86, -1.31)

### To do
Now reproduce all of the entries further up character by character.

### Response
Density functional theory data (ωB97M-V with the def2-TZVPD basis set) for a structure of composition C50H50Br6F6O9 in a non-equilibrium geometry.

Frontier orbital gap   8.30 eV
Max |F|   6.94 eV Å⁻¹
E_tot   -507643.935 eV
Net charge   0

Positions of all 121 atoms, in Å:
C (-0.61, 5.12, -4.89)
C (-0.34, 6.27, -5.84)
C (-1.31, 7.49, -5.93)
O (-0.52, 8.61, -5.79)
C (0.77, 8.23, -5.62)
O (1.64, 9.02, -5.54)
O (0.92, 6.89, -5.63)
H (-0.97, 5.49, -3.94)
H (0.30, 4.54, -4.72)
H (-1.37, 4.43, -5.24)
H (-0.21, 5.88, -6.85)
H (-2.02, 7.27, -5.13)
H (-1.73, 7.35, -6.93)
C (-3.98, 6.69, 0.02)
C (-4.55, 6.08, 1.30)
C (-6.02, 5.84, 1.39)
O (-6.14, 4.60, 1.90)
C (-4.91, 4.01, 2.06)
O (-4.73, 2.86, 2.49)
O (-3.94, 4.90, 1.64)
H (-4.31, 6.14, -0.87)
H (-2.90, 6.52, 0.03)
H (-4.20, 7.75, -0.06)
H (-4.36, 6.94, 1.95)
H (-6.46, 6.08, 0.42)
H (-6.35, 6.62, 2.08)
C (-1.68, -3.22, -0.50)
C (-2.11, -1.91, 0.21)
C (-1.36, -1.63, 1.50)
O (-0.63, -0.46, 1.24)
C (-0.91, 0.00, 0.09)
O (-0.28, 0.93, -0.46)
O (-1.63, -0.88, -0.63)
H (-2.24, -3.27, -1.44)
H (-2.11, -4.06, 0.05)
H (-0.60, -3.35, -0.54)
H (-3.17, -1.67, 0.32)
H (-0.82, -2.50, 1.86)
H (-2.05, -1.36, 2.30)
F (3.82, -3.91, -0.34)
C (4.65, -4.81, 0.22)
C (4.32, -5.54, 1.32)
C (5.15, -6.57, 1.74)
C (6.32, -6.89, 1.02)
C (6.67, -6.05, -0.02)
C (5.85, -5.00, -0.46)
H (3.38, -5.36, 1.80)
H (4.87, -7.12, 2.63)
H (6.89, -7.79, 1.20)
H (7.66, -6.10, -0.44)
H (6.23, -4.44, -1.31)
F (7.75, 6.10, 1.94)
C (7.16, 5.02, 1.34)
C (7.95, 3.93, 0.94)
C (7.39, 2.88, 0.20)
C (5.97, 2.90, -0.02)
C (5.15, 3.93, 0.46)
C (5.76, 5.00, 1.17)
H (9.00, 3.92, 1.19)
H (7.95, 2.01, -0.13)
H (5.51, 2.11, -0.60)
H (4.09, 3.95, 0.31)
H (5.23, 5.90, 1.45)
F (2.25, -3.76, 6.11)
C (2.71, -4.64, 7.03)
C (1.88, -4.94, 8.12)
C (2.37, -5.79, 9.12)
C (3.58, -6.42, 8.98)
C (4.35, -6.18, 7.82)
C (3.94, -5.28, 6.87)
H (0.92, -4.49, 8.31)
H (1.82, -5.87, 10.05)
H (3.94, -7.13, 9.72)
H (5.31, -6.66, 7.75)
H (4.48, -5.01, 5.98)
F (-5.89, -0.30, -3.64)
C (-5.83, -1.10, -4.71)
C (-4.57, -1.56, -5.14)
C (-4.54, -2.43, -6.19)
C (-5.68, -2.77, -6.87)
C (-6.96, -2.35, -6.42)
C (-7.05, -1.48, -5.33)
H (-3.76, -1.07, -4.62)
H (-3.56, -2.72, -6.54)
H (-5.65, -3.46, -7.71)
H (-7.86, -2.58, -6.98)
H (-7.98, -1.04, -4.99)
F (1.37, -0.19, -6.61)
C (1.34, -1.57, -6.70)
C (1.07, -2.28, -7.89)
C (1.10, -3.66, -7.87)
C (1.21, -4.39, -6.67)
C (1.47, -3.64, -5.51)
C (1.50, -2.26, -5.47)
H (0.98, -1.85, -8.88)
H (0.94, -4.25, -8.76)
H (1.17, -5.47, -6.66)
H (1.57, -4.19, -4.59)
H (1.70, -1.64, -4.60)
F (2.28, 6.93, 7.40)
C (1.59, 6.00, 6.76)
C (2.23, 5.14, 5.84)
C (1.54, 4.13, 5.25)
C (0.20, 3.96, 5.64)
C (-0.41, 4.71, 6.62)
C (0.28, 5.77, 7.16)
H (3.26, 5.39, 5.64)
H (2.04, 3.58, 4.46)
H (-0.45, 3.26, 5.13)
H (-1.44, 4.48, 6.82)
H (-0.25, 6.49, 7.77)
C (-5.44, -9.02, -4.90)
Br (-5.06, -10.87, -4.16)
Br (-3.95, -7.85, -4.49)
Br (-7.17, -8.22, -4.33)
H (-5.52, -9.21, -5.97)
C (-4.89, -1.39, 8.11)
Br (-6.18, 0.09, 7.88)
Br (-4.65, -1.91, 10.00)
Br (-3.10, -1.04, 7.27)
H (-5.32, -2.28, 7.65)

---

Density functional theory data (ωB97M-V with the def2-TZVPD basis set) for a structure of composition C50H50N7O2PS5Y in a non-equilibrium geometry.

Frontier orbital gap   4.91 eV
Max |F|   1.28 eV Å⁻¹
E_tot   -131697.503 eV
Net charge   -1
Relative energy (zero: lowest compared OMol25 entry of this formula, charge and spin)   39.1 kcal per mole

Positions of all 116 atoms, in Å:
Y (-0.71, -0.85, -0.25)
C (-0.97, 3.84, 3.82)
C (-1.40, 3.16, 2.53)
S (-0.12, 2.58, 1.42)
C (0.94, 4.03, 1.19)
C (2.45, 3.78, 1.39)
S (2.98, 2.51, 2.56)
C (3.03, 3.42, 4.11)
C (1.74, 4.11, 4.55)
S (0.32, 3.01, 4.79)
H (-1.84, 3.94, 4.47)
H (-0.62, 4.86, 3.64)
H (-2.10, 3.83, 2.01)
H (-1.95, 2.23, 2.72)
H (0.59, 4.84, 1.83)
H (0.82, 4.38, 0.16)
H (2.94, 4.72, 1.67)
H (2.88, 3.48, 0.44)
H (3.82, 4.17, 4.08)
H (3.32, 2.68, 4.86)
H (1.46, 4.87, 3.81)
H (1.94, 4.63, 5.48)
C (-5.43, 4.54, -1.93)
C (-5.63, 3.30, -2.52)
C (-4.62, 2.34, -2.51)
C (-3.40, 2.62, -1.91)
C (-3.21, 3.86, -1.31)